### Given
(1)
WS2: relaxed, meta-GGA r2SCAN.

a = 6.745 Å, b = 6.745 Å, c = 6.745 Å
α = 27.31°, β = 27.31°, γ = 27.31°
Positions (direct):
1 W 0.001 0.001 0.001
2 S 0.414 0.414 0.414
3 S 0.254 0.254 0.254

Calculated values
Its crystal system is trigonal. For the total moment, the calculation gives 0.0 Bohr magnetons per cell. The formation energy comes out at -85.2 kJ per mole of atoms.

---

(2)
WS2: relaxed, meta-GGA r2SCAN.

a = 3.184 Å, b = 3.184 Å, c = 12.978 Å
α = 90.00°, β = 90.00°, γ = 60.00°
Positions (direct):
1 W 0.667 0.667 0.750
2 W 0.333 0.333 0.250
3 S 0.667 0.667 0.130
4 S 0.333 0.333 0.630
5 S 0.667 0.667 0.370
6 S 0.333 0.333 0.870

Calculated values
Its crystal system is hexagonal. For the total moment, the calculation gives 0.0 Bohr magnetons per cell. The formation energy comes out at -85.3 kJ per mole of atoms.

---

(3)
Y5S7: relaxed, meta-GGA r2SCAN.

a = 3.810 Å, b = 6.700 Å, c = 11.604 Å
α = 104.07°, β = 90.00°, γ = 106.52°
Positions (direct):
1 Y 0.888 0.777 0.578
2 Y 0.112 0.223 0.422
3 Y 0.699 0.399 0.812
4 Y 0.301 0.601 0.188
5 Y 0.000 0.000 0.000
6 S 0.741 0.481 0.353
7 S 0.259 0.519 0.647
8 S 0.041 0.083 0.785
9 S 0.959 0.917 0.215
10 S 0.341 0.682 0.949
11 S 0.500 0.000 0.500
12 S 0.659 0.318 0.051

Calculated values
Its crystal system is monoclinic. For the total moment, the calculation gives 0.0 Bohr magnetons per cell. The formation energy comes out at -229.5 kJ per mole of atoms.

---

(4)
Y2S3: relaxed, meta-GGA r2SCAN.

a = 4.034 Å, b = 10.205 Å, c = 17.631 Å
α = 98.66°, β = 90.00°, γ = 90.00°
Positions (direct):
1 Y 0.250 0.189 0.020
2 Y 0.750 0.811 0.980
3 Y 0.250 0.124 0.430
4 Y 0.750 0.876 0.570
5 Y 0.250 0.830 0.781
6 Y 0.750 0.170 0.219
7 Y 0.250 0.187 0.721
8 Y 0.750 0.813 0.279
9 Y 0.250 0.487 0.399
10 Y 0.750 0.513 0.601
11 Y 0.250 0.549 0.115
12 Y 0.750 0.451 0.885
13 S 0.250 0.052 0.575
14 S 0.750 0.948 0.425
15 S 0.250 0.269 0.873
16 S 0.750 0.731 0.127
17 S 0.250 0.616 0.967
18 S 0.750 0.384 0.033
19 S 0.250 0.638 0.282
20 S 0.750 0.362 0.718
21 S 0.250 0.007 0.268
22 S 0.750 0.993 0.732
23 S 0.250 0.711 0.631
24 S 0.750 0.289 0.369
25 S 0.250 0.951 0.924
26 S 0.750 0.049 0.076
27 S 0.250 0.319 0.182
28 S 0.750 0.681 0.818
29 S 0.250 0.368 0.531
30 S 0.750 0.632 0.469

Calculated values
Its crystal system is monoclinic. For the total moment, the calculation gives 0.0 Bohr magnetons per cell. The formation energy comes out at -229.9 kJ per mole of atoms.


# Rb2B7H5O14 | the Materials Project | GGA-PBE | relaxed
data_Rb2B7H5O14
_space_group_name_H-M_alt 'P 1 21/c 1'
_space_group_IT_number 14
_space_group_name_Hall '-P 2ybc'
_cell_length_a 8.153
_cell_length_b 12.024
_cell_length_c 14.614
_cell_angle_alpha 90.00
_cell_angle_beta 110.05
_cell_angle_gamma 90.00
loop_
_atom_site_label
_atom_site_type_symbol
_atom_site_fract_x
_atom_site_fract_y
_atom_site_fract_z
Rb1 Rb 0.027 0.168 0.068
Rb2 Rb 0.307 0.518 0.074
B1 B 0.035 0.583 0.791
B2 B 0.115 0.197 0.375
B3 B 0.230 0.590 0.700
B4 B 0.325 0.674 0.865
B5 B 0.330 0.212 0.298
B6 B 0.392 0.623 0.402
B7 B 0.428 0.235 0.480
H1 H 0.135 0.680 0.202
H2 H 0.209 0.033 0.770
H3 H 0.357 0.607 0.608
H4 H 0.398 0.045 0.929
H5 H 0.472 0.246 0.216
O1 O 0.058 0.685 0.133
O2 O 0.067 0.563 0.704
O3 O 0.128 0.061 0.706
O4 O 0.157 0.191 0.291
O5 O 0.161 0.625 0.871
O6 O 0.238 0.215 0.464
O7 O 0.247 0.576 0.609
O8 O 0.294 0.703 0.341
O9 O 0.347 0.513 0.377
O10 O 0.361 0.210 0.211
O11 O 0.364 0.626 0.779
O12 O 0.458 0.230 0.384
O13 O 0.467 0.654 0.954
O14 O 0.473 0.147 0.014
# Total DFT energy (no corrections) = -6.890 eV per atom
# Formation enthalpy at 0 K = -55.66 kcal/mol of atoms
# Crystal system = monoclinic


Entry 1:
Density functional theory data (PBE-GGA) for a relaxed structure of Ga10GePb3O20.

abc: 9.894 9.894 5.180
angles: 74.96 74.96 73.67
Fractional positions:
Ga (0.634, 0.366, 0.500)
Ga (0.366, 0.634, 0.500)
Ga (0.280, 0.007, 0.372)
Ga (0.993, 0.720, 0.628)
Ga (0.720, 0.993, 0.628)
Ga (0.007, 0.280, 0.372)
Ga (0.578, 0.151, 0.108)
### Work order
Now duplicate the lines further above up to the one that holds "_atom_site_type_symbol", that line included.
### Here it is
(1)
WS2: relaxed, meta-GGA r2SCAN.

a = 6.745 Å, b = 6.745 Å, c = 6.745 Å
α = 27.31°, β = 27.31°, γ = 27.31°
Positions (direct):
1 W 0.001 0.001 0.001
2 S 0.414 0.414 0.414
3 S 0.254 0.254 0.254

Calculated values
Its crystal system is trigonal. For the total moment, the calculation gives 0.0 Bohr magnetons per cell. The formation energy comes out at -85.2 kJ per mole of atoms.

---

(2)
WS2: relaxed, meta-GGA r2SCAN.

a = 3.184 Å, b = 3.184 Å, c = 12.978 Å
α = 90.00°, β = 90.00°, γ = 60.00°
Positions (direct):
1 W 0.667 0.667 0.750
2 W 0.333 0.333 0.250
3 S 0.667 0.667 0.130
4 S 0.333 0.333 0.630
5 S 0.667 0.667 0.370
6 S 0.333 0.333 0.870

Calculated values
Its crystal system is hexagonal. For the total moment, the calculation gives 0.0 Bohr magnetons per cell. The formation energy comes out at -85.3 kJ per mole of atoms.

---

(3)
Y5S7: relaxed, meta-GGA r2SCAN.

a = 3.810 Å, b = 6.700 Å, c = 11.604 Å
α = 104.07°, β = 90.00°, γ = 106.52°
Positions (direct):
1 Y 0.888 0.777 0.578
2 Y 0.112 0.223 0.422
3 Y 0.699 0.399 0.812
4 Y 0.301 0.601 0.188
5 Y 0.000 0.000 0.000
6 S 0.741 0.481 0.353
7 S 0.259 0.519 0.647
8 S 0.041 0.083 0.785
9 S 0.959 0.917 0.215
10 S 0.341 0.682 0.949
11 S 0.500 0.000 0.500
12 S 0.659 0.318 0.051

Calculated values
Its crystal system is monoclinic. For the total moment, the calculation gives 0.0 Bohr magnetons per cell. The formation energy comes out at -229.5 kJ per mole of atoms.

---

(4)
Y2S3: relaxed, meta-GGA r2SCAN.

a = 4.034 Å, b = 10.205 Å, c = 17.631 Å
α = 98.66°, β = 90.00°, γ = 90.00°
Positions (direct):
1 Y 0.250 0.189 0.020
2 Y 0.750 0.811 0.980
3 Y 0.250 0.124 0.430
4 Y 0.750 0.876 0.570
5 Y 0.250 0.830 0.781
6 Y 0.750 0.170 0.219
7 Y 0.250 0.187 0.721
8 Y 0.750 0.813 0.279
9 Y 0.250 0.487 0.399
10 Y 0.750 0.513 0.601
11 Y 0.250 0.549 0.115
12 Y 0.750 0.451 0.885
13 S 0.250 0.052 0.575
14 S 0.750 0.948 0.425
15 S 0.250 0.269 0.873
16 S 0.750 0.731 0.127
17 S 0.250 0.616 0.967
18 S 0.750 0.384 0.033
19 S 0.250 0.638 0.282
20 S 0.750 0.362 0.718
21 S 0.250 0.007 0.268
22 S 0.750 0.993 0.732
23 S 0.250 0.711 0.631
24 S 0.750 0.289 0.369
25 S 0.250 0.951 0.924
26 S 0.750 0.049 0.076
27 S 0.250 0.319 0.182
28 S 0.750 0.681 0.818
29 S 0.250 0.368 0.531
30 S 0.750 0.632 0.469

Calculated values
Its crystal system is monoclinic. For the total moment, the calculation gives 0.0 Bohr magnetons per cell. The formation energy comes out at -229.9 kJ per mole of atoms.


# Rb2B7H5O14 | the Materials Project | GGA-PBE | relaxed
data_Rb2B7H5O14
_space_group_name_H-M_alt 'P 1 21/c 1'
_space_group_IT_number 14
_space_group_name_Hall '-P 2ybc'
_cell_length_a 8.153
_cell_length_b 12.024
_cell_length_c 14.614
_cell_angle_alpha 90.00
_cell_angle_beta 110.05
_cell_angle_gamma 90.00
loop_
_atom_site_label
_atom_site_type_symbol